
Romney’s Big Tax Bluff: Why It Will Haunt Him


After some tap dancing, Mitt Romney now says the individual mandate is a tax. Democrats should call his bluff and agree—it'll hurt Mitt far more than Obama. By Michael Tomasky. Plus, see Obamacare by the numbers.

Chip Somodevilla / Getty Images

So somebody read Mitt Romney the riot act. The individual-mandate penalty, he affirmed in an interview with CBS yesterday, is indeed a tax. This comes two days after a statement by adviser Eric Fehrnstrom that it isn’t a tax, it’s a penalty. Why the contradiction? Because Fehrnstrom’s comment was a scimitar through the kneecaps of congressional Republicans for reasons that will be explained. But I bet Romney thinks—for reasons that will also be explained—that he can scare Obama and the Democrats with the T-word. And maybe he can. But I think Romney has more to lose from the penalty being called a tax, and the Democrats should call him here, as we say around the poker table, and raise. This is a tax debate with Republicans that Democrats can actually win—if they’re not afraid to have it.

- - -
This record from Alexandria via LeMat-Bulk describes an optimized crystal structure of Ac4Mn3AgO12. The functional is PBE with a Hubbard U.

raw total energy	-147.40	eV/cell
total moment	0.523	μB/atom
volume	13.19	A^3/atom

```
20
Lattice="6.998 0.000 0.000 -2.333 6.598 0.000 -2.333 -3.299 5.714" Properties=species:S:1:pos:R:3 pbc="T T T"
Ac 1.166 1.649 2.857
Ac -1.166 -1.649 2.857
Ac 3.499 0.000 0.000
Ac -1.166 3.299 0.000
Mn 2.333 -1.649 2.857
Mn 2.333 3.299 0.000
Mn -2.333 1.649 2.857
Ag 0.000 0.000 0.000
O -1.166 0.825 4.285
O 3.419 -2.418 4.187
O 1.246 -0.881 1.526
O 3.499 2.474 1.428
O 3.419 4.835 0.000
O 1.246 1.762 0.000
O 3.499 0.000 2.857
O -1.166 3.299 2.857
O 1.166 -0.825 4.285
O -3.419 2.418 4.187
O 1.166 4.124 1.428
- - -


The instant after the court decision a week ago, you’ll recall, congressional Republicans took the gist of the court’s finding—the mandate stands as a tax, not a penalty—and launched into a campaign calling the ACA the biggest tax hike in all of American or even human history and saying that Obama broke his promise not to tax middle-income Americans. Politifact rated the first claim pants-on-fire false. As a percentage of GDP, in fact, it’s only the 10th largest tax increase in America since 1950. The second claim isn’t exactly an all-out lie like the first one, but it’s a grotesque exaggeration, since this penalty-tax would not be paid by everyone, but only by those who refuse to buy insurance, an explicitly self-selecting maybe 2 percent of all people.

Of course, the fact that something is a lie has never stopped the GOP, so that was the strategy coming out of the decision: Obama the taxer. That was the line on last weekend’s shows. But there was a problem. If Obama’s mandate penalty is a tax, then so is Mitt Romney’s—present tense, because people are still paying it—in Massachusetts. Hmmm.

Thus, Fehrnstrom on Monday on MSNBC: “The governor has consistently described the mandate as a penalty.” He had to—otherwise, Romney is a tax-raiser. But in saying that, Fehrnstorm destroyed the whole congressional Republican line of attack against Obama. How credibly can Eric Cantor and the rest of them stand up and call the mandate a tax increase when their own party’s nominee (through a top aide pretty obviously dispatched to say precisely what he said) says the opposite?

Well, this thought apparently occurred to Cantor over the last few days, as well as (probably) Karl Rove and many other Republicans. I would imagine they let Romney know their views on the matter, and told him that he—not Fehrnstrom or spokeswoman Andrea Saul, but he himself—had to walk back Fehrnstrom’s remark. “But I can’t say that,” he must have told ... someone. “Because I did the same thing in Massachusetts, so if this is a tax, then I’m a tax-raiser like Obama!” “That may be,” said someone. “But we’ve got 435 House candidates and 33 Senate candidates who need to be able to call this a tax.” And my someone may well have added something like: “Plus, governor, you’ve got some very wealthy super-PAC donors who think it’s a tax. Given all that, what’s your view?” So, through clenched teeth, he spit it out.

The net effect is that Romney is, however against his own will it might be, prepared to be smeared as a tax-raiser. But he’s making a calculation: He is gambling that the Democrats won’t want to call it a tax, because Democrats are terrified of the word. And based on what we’ve seen, his gamble is correct. The day before Fehrnstrom was calling it a penalty, Nancy Pelosi was agreeing with him. David Axelrod also says penalty. I haven’t heard Barack Obama himself speak to this exact point yet, but we can reckon he’ll say the same, and for the same reasons as Romney: If it’s a tax, then he’s a tax-raiser.

That’s what Romney is going to say. Then the ball will be in Obama’s court. The indications are that he’ll just say he thinks it’s a penalty. But that won’t fly, I don’t think. The Supreme Court said it’s tax. His administration’s own brief to the court said it’s a tax. It’s a tax. (Actually, in common-sense terms, I don’t think it’s a tax at all, but legally it is, and the court said so, and that’s what matters.) So instead of saying it’s a penalty, Obama should say, “Well, OK, if it’s a tax, then it’s a tax that you imposed, governor. So you raised taxes too.”

That may hurt Obama, but I think it clearly hurts Romney more. Romney comes from the party where raising one cent of taxes is verboten. He has said a thousand times on tape that he never has and never would raise taxes. Now he’s admitting he has—to a base electorate that hates taxes more than anything in the world. If the Democrats stick with the “penalty” line, Romney never has to explain that. And that is exactly what he’s banking on.

It’s a tough needle for the Democrats to thread, and I don’t know exactly how they do it. But I know this much. Romney agreed to call the penalty a tax because he’s hoping the Democrats won’t call him on it. That alone means they should. After all, it’s less shocking to people that a Democrat raised a little tax than that a Republican did—and it’s far more demoralizing to the Republican’s base and his down-ticket surrogates. The Democrats, if they play this smartly, can drive a huge wedge between Romney and congressional Republicans. In a dream scenario, they might even force Romney to defend the mandate—that is to say, they could get Romney so tied up in knots that he ends up defending Obamacare!

Did Rick Santorum have a point when he said that Romney is “the worst possible person in this field to put up [as nominee] on this most fundamental issue of this campaign?” Uh, yes.